What to do.
Repeat every line below that contains the word "mcm".
Input.
____________
The following is a PBE calculation of LiSnPd5 after structural relaxation, from Alexandria via LeMat-Bulk.

Calculated values
- space group = C2/c (15)
- ΔH_f (0 K) (eV per atom) = -0.318
- size of the total moment (μB/f.u.) = 0.00
- energy above the most stable polymorph in this dataset (kcal/mol of atoms) = 0.71
- calculated density (kg/m3) = 9084

Lattice parameters (Å, degrees): 5.477 5.477 9.314 103.29 103.29 63.38
Positions (direct):
Li 0.000 0.500 0.000
Li 0.500 0.000 0.500
Sn 0.117 0.883 0.750
Sn 0.883 0.117 0.250
Pd 0.159 0.346 0.737
Pd 0.240 0.537 0.503
Pd 0.344 0.656 0.250
Pd 0.346 0.159 0.237
Pd 0.463 0.760 0.997
Pd 0.537 0.240 0.003
Pd 0.654 0.841 0.763
Pd 0.656 0.344 0.750
Pd 0.760 0.463 0.497
Pd 0.841 0.654 0.263



The following is a PBE calculation of Li6SnPd6 after structural relaxation, from Alexandria via LeMat-Bulk.

Calculated values
- space group = P6/mmm (191)
- ΔH_f (0 K) (eV per atom) = -0.373
- size of the total moment (μB/f.u.) = 0.00
- calculated density (kg/m3) = 7235

Lattice parameters (Å, degrees): 4.974 4.974 8.560 90.00 90.00 120.00
Positions (direct):
Li 0.000 0.500 0.250
Li 0.000 0.500 0.750
Li 0.500 0.000 0.250
Li 0.500 0.000 0.750
Li 0.500 0.500 0.250
Li 0.500 0.500 0.750
Sn 0.000 0.000 0.000
Pd 0.000 0.000 0.347
Pd 0.000 0.000 0.653
Pd 0.333 0.667 0.000
Pd 0.333 0.667 0.500
Pd 0.667 0.333 0.000
Pd 0.667 0.333 0.500



The following is a PBE calculation of LiSn3Pd5 after structural relaxation, from Alexandria via LeMat-Bulk.

Calculated values
- space group = I4/mcm (140)
- ΔH_f (0 K) (eV per atom) = -0.332
- size of the total moment (μB/f.u.) = 0.00
- energy above the most stable polymorph in this dataset (kcal/mol of atoms) = 4.90
- calculated density (kg/m3) = 8858

Lattice parameters (Å, degrees): 8.715 8.715 8.715 134.12 134.12 66.91
Positions (direct):
Li 0.250 0.750 0.500
Li 0.750 0.250 0.500
Sn 0.138 0.638 0.776
Sn 0.250 0.250 0.000
Sn 0.362 0.138 0.500
Sn 0.638 0.862 0.500
Sn 0.750 0.750 0.000
Sn 0.862 0.362 0.224
Pd 0.000 0.000 0.000
Pd 0.073 0.119 0.500
Pd 0.119 0.619 0.046
Pd 0.381 0.427 0.500
Pd 0.427 0.927 0.046
Pd 0.500 0.500 0.000
Pd 0.573 0.073 0.954
Pd 0.619 0.573 0.500
Pd 0.881 0.381 0.954
Pd 0.927 0.881 0.500



The following is a PBE calculation of LiSn5Pd after structural relaxation, from Alexandria via LeMat-Bulk.

Calculated values
- space group = C2/c (15)
- ΔH_f (0 K) (eV per atom) = -0.144
- size of the total moment (μB/f.u.) = 0.00
- calculated density (kg/m3) = 6874

Lattice parameters (Å, degrees): 6.056 6.056 9.428 91.82 91.82 81.29
Positions (direct):
Li 0.000 0.000 0.000
Li 0.000 0.000 0.500
Sn 0.014 0.589 0.165
Sn 0.178 0.822 0.750
Sn 0.253 0.449 0.504
Sn 0.411 0.986 0.335
Sn 0.449 0.253 0.004
Sn 0.551 0.747 0.996
Sn 0.589 0.014 0.665
Sn 0.747 0.551 0.496
Sn 0.822 0.178 0.250
Sn 0.986 0.411 0.835
Pd 0.457 0.543 0.250
Pd 0.543 0.457 0.750



The following is a PBE calculation of LiSnPd after structural relaxation, from Alexandria via LeMat-Bulk.

Calculated values
- space group = P3m1 (156)
- ΔH_f (0 K) (eV per atom) = -0.479
- size of the total moment (μB/f.u.) = 0.00
- calculated density (kg/m3) = 7006

Lattice parameters (Å, degrees): 4.589 4.589 3.015 90.00 90.00 120.00
Positions (direct):
Li 0.000 0.000 0.000
Sn 0.333 0.667 0.494
Pd 0.667 0.333 0.504



The following is a PBE calculation of LiSn4Pd7 after structural relaxation, from Alexandria via LeMat-Bulk.

Calculated values
- space group = C2/m (12)
- ΔH_f (0 K) (eV per atom) = -0.426
- size of the total moment (μB/f.u.) = 0.00
- calculated density (kg/m3) = 9065

Lattice parameters (Å, degrees): 6.273 6.273 9.848 120.93 120.93 44.18
Positions (direct):
Li 0.000 0.000 0.000
Sn 0.272 0.272 0.673
Sn 0.414 0.414 0.219
Sn 0.586 0.586 0.781
Sn 0.728 0.728 0.327
Pd 0.080 0.080 0.326
Pd 0.215 0.215 0.897
Pd 0.364 0.364 0.462
Pd 0.500 0.500 0.000
Pd 0.636 0.636 0.538
Pd 0.785 0.785 0.103
Pd 0.920 0.920 0.674
____________
Completed.
- space group = I4/mcm (140)